Source.
- - -
The following is a computed powder diffractogram of Co7Ir. It was derived from a structure optimized by DFT (PBE), using Cu Kα (weighted mean of Kα1 and Kα2).

Structural model:
Cell lengths 7.172, 7.172, 7.172 Å; angles 90.00, 90.00, 90.00 degrees
Space group Fm-3m (No. 225)
Asymmetric unit:
1 Co 0.000 0.000 0.000
2 Co 0.000 0.250 0.250
3 Ir 0.000 0.000 0.500

Most intense lines, 5° ≤ 2θ ≤ 70°, low angle first:
2theta, Rel. int., (hkl)
21.5, 25.7, 1 1 1
24.8, 13.7, 2 0 0
35.4, 11.3, 2 2 0
41.8, 14.6, 3 1 1
43.7, 100.0, 2 2 2
50.9, 47.0, 4 0 0

The following is a computed powder diffractogram of EuTcH3. It was derived from a structure optimized by DFT (PBE), using Cu Kα (weighted mean of Kα1 and Kα2).

Structural model:
Cell lengths 3.723, 3.723, 3.723 Å; angles 90.00, 90.00, 90.00 degrees
Space group Pm-3m (No. 221)
Asymmetric unit:
1 Eu 0.000 0.000 0.000
2 Tc 0.500 0.500 0.500
3 H 0.000 0.500 0.500

Most intense lines, 5° ≤ 2θ ≤ 70°, low angle first:
2theta, Rel. int., (hkl)
23.9, 4.5, 1 0 0
34.1, 100.0, 1 1 0
42.0, 1.9, 1 1 1
48.9, 18.4, 2 0 0
55.2, 2.2, 2 1 0
61.0, 36.8, 2 1 1

The following is a computed powder diffractogram of Cd2Te3O9. It was derived from a structure optimized by DFT (PBE), using Cu Kα (weighted mean of Kα1 and Kα2).

Structural model:
Cell lengths 9.530, 7.425, 13.461 Å; angles 90.00, 122.88, 90.00 degrees
Space group P2_1/c (No. 14)
Asymmetric unit:
1 Cd 0.099 0.123 0.147
2 Cd 0.102 0.622 0.148
3 Te 0.261 0.623 0.939
4 Te 0.288 0.113 0.959
5 Te 0.497 0.130 0.749
6 O 0.087 0.634 0.970
7 O 0.093 0.118 0.964
8 O 0.144 0.074 0.333
9 O 0.174 0.656 0.346
10 O 0.277 0.132 0.716
11 O 0.280 0.624 0.713
12 O 0.414 0.193 0.581
13 O 0.423 0.569 0.581
14 O 0.467 0.620 0.193

Most intense lines, 5° ≤ 2θ ≤ 70°, low angle first:
2theta, Rel. int., (hkl)
27.2, 60.2, 1 0 -4
28.2, 54.0, 3 0 -2
29.4, 100.0, 1 2 1
32.7, 50.1, 2 2 -3
47.1, 34.2, 0 2 5
48.3, 25.5, 4 2 -1

The following is a computed powder diffractogram of Mn4FePb. It was derived from a structure optimized by DFT (PBE), using Cu Kα (weighted mean of Kα1 and Kα2).

Structural model:
Cell lengths 6.852, 6.852, 6.852 Å; angles 90.00, 90.00, 90.00 degrees
Space group F-43m (No. 216)
Asymmetric unit:
1 Mn 0.125 0.125 0.125
2 Fe 0.250 0.250 0.750
3 Pb 0.000 0.000 0.500

Most intense lines, 5° ≤ 2θ ≤ 70°, low angle first:
2theta, Rel. int., (hkl)
22.5, 28.7, 1 1 1
26.0, 20.9, 2 0 0
37.1, 56.2, 2 2 0
43.8, 100.0, 3 1 1
45.9, 20.6, 2 2 2
66.9, 20.0, 4 2 2

The following is a computed powder diffractogram of LaErCBr. It was derived from a structure optimized by DFT (PBE), using Cu Kα (weighted mean of Kα1 and Kα2).

Structural model:
Cell lengths 3.7298, 3.7298, 22.3831 Å; angles 90.00, 90.00, 120.00 degrees
Space group R3m (No. 160, hexagonal axes)
Asymmetric unit:
1 La 0.0000 0.0000 0.0000
2 Er 0.0000 0.0000 0.2127
3 C 0.0000 0.0000 0.5984
4 Br 0.0000 0.0000 0.7824

Most intense lines, 5° ≤ 2θ ≤ 70°, low angle first:
2theta, Rel. int., (hkl)
27.9, 48.0, 1 0 1
32.0, 73.4, 1 0 4
34.2, 100.0, 0 1 5
36.1, 26.4, 0 0 9
48.8, 41.8, 1 1 0
62.2, 34.6, 1 1 9

The following is a computed powder diffractogram of Cs3H4Au. It was derived from a structure optimized by DFT (PBE), using Cu Kα (weighted mean of Kα1 and Kα2).

Structural model:
Cell lengths 5.586, 9.014, 12.241 Å; angles 90.00, 90.00, 90.00 degrees
Space group Pmmn (No. 59, origin choice 2)
Asymmetric unit:
1 Cs 0.250 0.006 0.181
2 Cs 0.250 0.250 0.559
3 H 0.250 0.250 0.334
4 H 0.250 0.566 0.925
5 H 0.250 0.750 0.338
6 Au 0.250 0.750 0.925

Most intense lines, 5° ≤ 2θ ≤ 70°, low angle first:
2theta, Rel. int., (hkl)
7.2, 69.1, 0 0 1
17.5, 60.5, 0 1 2
20.1, 100.0, 1 1 1
24.5, 50.9, 0 2 2
26.4, 81.2, 1 2 1
27.1, 41.4, 1 0 3

The following is a computed powder diffractogram of ZnCu3Pt4. It was derived from a structure optimized by DFT (PBE), using Cu Kα (weighted mean of Kα1 and Kα2).

Structural model:
Cell lengths 3.959, 3.959, 14.371 Å; angles 90.00, 90.00, 90.00 degrees
Space group I4/mmm (No. 139)
Asymmetric unit:
- - -

Request.
Please repeat the whole of the calculation results above unchanged.

Completed.
The following is a computed powder diffractogram of Co7Ir. It was derived from a structure optimized by DFT (PBE), using Cu Kα (weighted mean of Kα1 and Kα2).

Structural model:
Cell lengths 7.172, 7.172, 7.172 Å; angles 90.00, 90.00, 90.00 degrees
Space group Fm-3m (No. 225)
Asymmetric unit:
1 Co 0.000 0.000 0.000
2 Co 0.000 0.250 0.250
3 Ir 0.000 0.000 0.500

Most intense lines, 5° ≤ 2θ ≤ 70°, low angle first:
2theta, Rel. int., (hkl)
21.5, 25.7, 1 1 1
24.8, 13.7, 2 0 0
35.4, 11.3, 2 2 0
41.8, 14.6, 3 1 1
43.7, 100.0, 2 2 2
50.9, 47.0, 4 0 0

The following is a computed powder diffractogram of EuTcH3. It was derived from a structure optimized by DFT (PBE), using Cu Kα (weighted mean of Kα1 and Kα2).

Structural model:
Cell lengths 3.723, 3.723, 3.723 Å; angles 90.00, 90.00, 90.00 degrees
Space group Pm-3m (No. 221)
Asymmetric unit:
1 Eu 0.000 0.000 0.000
2 Tc 0.500 0.500 0.500
3 H 0.000 0.500 0.500

Most intense lines, 5° ≤ 2θ ≤ 70°, low angle first:
2theta, Rel. int., (hkl)
23.9, 4.5, 1 0 0
34.1, 100.0, 1 1 0
42.0, 1.9, 1 1 1
48.9, 18.4, 2 0 0
55.2, 2.2, 2 1 0
61.0, 36.8, 2 1 1

The following is a computed powder diffractogram of Cd2Te3O9. It was derived from a structure optimized by DFT (PBE), using Cu Kα (weighted mean of Kα1 and Kα2).

Structural model:
Cell lengths 9.530, 7.425, 13.461 Å; angles 90.00, 122.88, 90.00 degrees
Space group P2_1/c (No. 14)
Asymmetric unit:
1 Cd 0.099 0.123 0.147
2 Cd 0.102 0.622 0.148
3 Te 0.261 0.623 0.939
4 Te 0.288 0.113 0.959
5 Te 0.497 0.130 0.749
6 O 0.087 0.634 0.970
7 O 0.093 0.118 0.964
8 O 0.144 0.074 0.333
9 O 0.174 0.656 0.346
10 O 0.277 0.132 0.716
11 O 0.280 0.624 0.713
12 O 0.414 0.193 0.581
13 O 0.423 0.569 0.581
14 O 0.467 0.620 0.193

Most intense lines, 5° ≤ 2θ ≤ 70°, low angle first:
2theta, Rel. int., (hkl)
27.2, 60.2, 1 0 -4
28.2, 54.0, 3 0 -2
29.4, 100.0, 1 2 1
32.7, 50.1, 2 2 -3
47.1, 34.2, 0 2 5
48.3, 25.5, 4 2 -1

The following is a computed powder diffractogram of Mn4FePb. It was derived from a structure optimized by DFT (PBE), using Cu Kα (weighted mean of Kα1 and Kα2).

Structural model:
Cell lengths 6.852, 6.852, 6.852 Å; angles 90.00, 90.00, 90.00 degrees
Space group F-43m (No. 216)
Asymmetric unit:
1 Mn 0.125 0.125 0.125
2 Fe 0.250 0.250 0.750
3 Pb 0.000 0.000 0.500

Most intense lines, 5° ≤ 2θ ≤ 70°, low angle first:
2theta, Rel. int., (hkl)
22.5, 28.7, 1 1 1
26.0, 20.9, 2 0 0
37.1, 56.2, 2 2 0
43.8, 100.0, 3 1 1
45.9, 20.6, 2 2 2
66.9, 20.0, 4 2 2

The following is a computed powder diffractogram of LaErCBr. It was derived from a structure optimized by DFT (PBE), using Cu Kα (weighted mean of Kα1 and Kα2).

Structural model:
Cell lengths 3.7298, 3.7298, 22.3831 Å; angles 90.00, 90.00, 120.00 degrees
Space group R3m (No. 160, hexagonal axes)
Asymmetric unit:
1 La 0.0000 0.0000 0.0000
2 Er 0.0000 0.0000 0.2127
3 C 0.0000 0.0000 0.5984
4 Br 0.0000 0.0000 0.7824

Most intense lines, 5° ≤ 2θ ≤ 70°, low angle first:
2theta, Rel. int., (hkl)
27.9, 48.0, 1 0 1
32.0, 73.4, 1 0 4
34.2, 100.0, 0 1 5
36.1, 26.4, 0 0 9
48.8, 41.8, 1 1 0
62.2, 34.6, 1 1 9

The following is a computed powder diffractogram of Cs3H4Au. It was derived from a structure optimized by DFT (PBE), using Cu Kα (weighted mean of Kα1 and Kα2).

Structural model:
Cell lengths 5.586, 9.014, 12.241 Å; angles 90.00, 90.00, 90.00 degrees
Space group Pmmn (No. 59, origin choice 2)
Asymmetric unit:
1 Cs 0.250 0.006 0.181
2 Cs 0.250 0.250 0.559
3 H 0.250 0.250 0.334
4 H 0.250 0.566 0.925
5 H 0.250 0.750 0.338
6 Au 0.250 0.750 0.925

Most intense lines, 5° ≤ 2θ ≤ 70°, low angle first:
2theta, Rel. int., (hkl)
7.2, 69.1, 0 0 1
17.5, 60.5, 0 1 2
20.1, 100.0, 1 1 1
24.5, 50.9, 0 2 2
26.4, 81.2, 1 2 1
27.1, 41.4, 1 0 3

The following is a computed powder diffractogram of ZnCu3Pt4. It was derived from a structure optimized by DFT (PBE), using Cu Kα (weighted mean of Kα1 and Kα2).

Structural model:
Cell lengths 3.959, 3.959, 14.371 Å; angles 90.00, 90.00, 90.00 degrees
Space group I4/mmm (No. 139)
Asymmetric unit: